_What to do_
Please find the line further down that holds "0.331", then transcribe that line and all lines after it there.
_Material_
........
P.
This record from the Materials Project database describes an optimized crystal structure of K2MgFe4P6O16F12. The functional is PBE+U.

Summary:
Crystal system: triclinic
ρ (g cm⁻³): 2.815
Magnetic moment (μB per cell): 18.000

Lattice parameters (Å, degrees): 7.632 7.890 10.152 99.51 102.15 92.62
Fractional coordinates of all 41 atoms:
K: 0.204 0.098 0.221
K: 0.796 0.902 0.779
Mg: 0.500 0.000 0.500
Fe: 0.000 0.500 0.500
Fe: 0.156 0.293 0.838
Fe: 0.500 0.000 0.000
Fe: 0.844 0.707 0.162
P: 0.168 0.691 0.997
P: 0.225 0.923 0.631
P: 0.422 0.406 0.652
P: 0.578 0.594 0.348
P: 0.775 0.077 0.369
P: 0.832 0.309 0.003
O: 0.079 0.763 0.114
O: 0.125 0.749 0.592
O: 0.134 0.056 0.712
O: 0.203 0.503 0.983
O: 0.283 0.427 0.531
O: 0.325 0.812 0.994
O: 0.387 0.351 0.778
O: 0.433 0.935 0.669
O: 0.567 0.065 0.331
O: 0.613 0.649 0.222
O: 0.675 0.188 0.006
O: 0.717 0.573 0.469
O: 0.797 0.497 0.017
O: 0.866 0.944 0.288
O: 0.875 0.251 0.408
O: 0.921 0.237 0.886
F: 0.021 0.702 0.861
F: 0.029 0.398 0.689
F: 0.221 0.998 0.479
F: 0.294 0.165 0.980
F: 0.432 0.438 0.301
F: 0.450 0.736 0.406
F: 0.550 0.264 0.594
F: 0.568 0.562 0.699
F: 0.706 0.835 0.020
F: 0.779 0.002 0.521
F: 0.971 0.602 0.311
F: 0.979 0.298 0.139

***

Q.
This record from the Materials Project database describes an optimized crystal structure of K2MgFe4P6O16F12. The functional is PBE+U.

Summary:
Crystal system: triclinic
ρ (g cm⁻³): 2.822
Magnetic moment (μB per cell): 18.000

Lattice parameters (Å, degrees): 7.808 8.022 10.200 109.47 101.55 92.57
Fractional coordinates of all 41 atoms:
K: 0.000 0.000 0.000
K: 0.201 0.478 0.552
Mg: 0.760 0.432 0.638
Fe: 0.109 0.731 0.265
Fe: 0.413 0.386 0.106
Fe: 0.592 0.194 0.787
Fe: 0.787 0.031 0.413
P: 0.006 0.417 0.946
P: 0.184 0.028 0.589
P: 0.376 0.077 0.257
P: 0.540 0.632 0.910
P: 0.683 0.793 0.608
P: 0.822 0.420 0.312
O: 0.000 0.601 0.050
O: 0.032 0.122 0.541
O: 0.178 0.338 0.963
O: 0.215 0.859 0.474
O: 0.238 0.916 0.211
O: 0.324 0.189 0.164
O: 0.345 0.159 0.672
O: 0.490 0.572 0.020
O: 0.565 0.039 0.281
O: 0.610 0.508 0.791
O: 0.626 0.919 0.729
O: 0.642 0.454 0.245
O: 0.733 0.821 0.485
O: 0.833 0.395 0.456
O: 0.847 0.280 0.907
O: 0.980 0.543 0.319
F: 0.124 0.950 0.702
F: 0.304 0.573 0.243
F: 0.354 0.206 0.411
F: 0.376 0.704 0.836
F: 0.508 0.210 0.968
F: 0.551 0.610 0.550
F: 0.668 0.809 0.981
F: 0.689 0.192 0.601
F: 0.843 0.706 0.684
F: 0.856 0.228 0.211
F: 0.911 0.868 0.261
F: 0.990 0.462 0.792

***

Which of them is the least stable? Correct choice: P.

***

P.
This record from the Materials Project database describes an optimized crystal structure of Sr3CoRuO6. The functional is PBE+U.

Summary:
Crystal system: triclinic
ρ (g cm⁻³): 5.623
Magnetic moment (μB per cell): 0.312

Lattice parameters (Å, degrees): 6.683 6.719 6.841 91.68 91.93 92.97
Fractional coordinates of all 22 atoms:
Sr: 0.000 0.000 0.000
Sr: 0.135 0.496 0.857
Sr: 0.275 0.363 0.357
Sr: 0.502 0.866 0.139
Sr: 0.638 0.730 0.637
Sr: 0.774 0.228 0.496
Co: 0.122 0.878 0.506
Co: 0.644 0.361 0.987
Ru: 0.388 0.110 0.748
Ru: 0.891 0.613 0.247
O: 0.097 0.153 0.656
O: 0.170 0.693 0.189
O: 0.299 0.830 0.797
O: 0.356 0.207 0.034
O: 0.419 0.017 0.461
O: 0.480 0.392 0.704
O: 0.609 0.532 0.304
O: 0.676 0.072 0.839
O: 0.789 0.645 0.963
O: 0.856 0.904 0.343
........
_Written answer_
O: 0.567 0.065 0.331
O: 0.613 0.649 0.222
O: 0.675 0.188 0.006
O: 0.717 0.573 0.469
O: 0.797 0.497 0.017
O: 0.866 0.944 0.288
O: 0.875 0.251 0.408
O: 0.921 0.237 0.886
F: 0.021 0.702 0.861
F: 0.029 0.398 0.689
F: 0.221 0.998 0.479
F: 0.294 0.165 0.980
F: 0.432 0.438 0.301
F: 0.450 0.736 0.406
F: 0.550 0.264 0.594
F: 0.568 0.562 0.699
F: 0.706 0.835 0.020
F: 0.779 0.002 0.521
F: 0.971 0.602 0.311
F: 0.979 0.298 0.139

***

Q.
This record from the Materials Project database describes an optimized crystal structure of K2MgFe4P6O16F12. The functional is PBE+U.

Summary:
Crystal system: triclinic
ρ (g cm⁻³): 2.822
Magnetic moment (μB per cell): 18.000

Lattice parameters (Å, degrees): 7.808 8.022 10.200 109.47 101.55 92.57
Fractional coordinates of all 41 atoms:
K: 0.000 0.000 0.000
K: 0.201 0.478 0.552
Mg: 0.760 0.432 0.638
Fe: 0.109 0.731 0.265
Fe: 0.413 0.386 0.106
Fe: 0.592 0.194 0.787
Fe: 0.787 0.031 0.413
P: 0.006 0.417 0.946
P: 0.184 0.028 0.589
P: 0.376 0.077 0.257
P: 0.540 0.632 0.910
P: 0.683 0.793 0.608
P: 0.822 0.420 0.312
O: 0.000 0.601 0.050
O: 0.032 0.122 0.541
O: 0.178 0.338 0.963
O: 0.215 0.859 0.474
O: 0.238 0.916 0.211
O: 0.324 0.189 0.164
O: 0.345 0.159 0.672
O: 0.490 0.572 0.020
O: 0.565 0.039 0.281
O: 0.610 0.508 0.791
O: 0.626 0.919 0.729
O: 0.642 0.454 0.245
O: 0.733 0.821 0.485
O: 0.833 0.395 0.456
O: 0.847 0.280 0.907
O: 0.980 0.543 0.319
F: 0.124 0.950 0.702
F: 0.304 0.573 0.243
F: 0.354 0.206 0.411
F: 0.376 0.704 0.836
F: 0.508 0.210 0.968
F: 0.551 0.610 0.550
F: 0.668 0.809 0.981
F: 0.689 0.192 0.601
F: 0.843 0.706 0.684
F: 0.856 0.228 0.211
F: 0.911 0.868 0.261
F: 0.990 0.462 0.792

***

Which of them is the least stable? Correct choice: P.

***

P.
This record from the Materials Project database describes an optimized crystal structure of Sr3CoRuO6. The functional is PBE+U.

Summary:
Crystal system: triclinic
ρ (g cm⁻³): 5.623
Magnetic moment (μB per cell): 0.312

Lattice parameters (Å, degrees): 6.683 6.719 6.841 91.68 91.93 92.97
Fractional coordinates of all 22 atoms:
Sr: 0.000 0.000 0.000
Sr: 0.135 0.496 0.857
Sr: 0.275 0.363 0.357
Sr: 0.502 0.866 0.139
Sr: 0.638 0.730 0.637
Sr: 0.774 0.228 0.496
Co: 0.122 0.878 0.506
Co: 0.644 0.361 0.987
Ru: 0.388 0.110 0.748
Ru: 0.891 0.613 0.247
O: 0.097 0.153 0.656
O: 0.170 0.693 0.189
O: 0.299 0.830 0.797
O: 0.356 0.207 0.034
O: 0.419 0.017 0.461
O: 0.480 0.392 0.704
O: 0.609 0.532 0.304
O: 0.676 0.072 0.839
O: 0.789 0.645 0.963
O: 0.856 0.904 0.343